[Excerpt]
Record 1
Computed, not measured: a relaxed structure of Tm2B10Ir at the PBE level of DFT.

Calculated values
* raw total energy: -7.0050 eV per atom
* SG: Pbam
* crystal system: orthorhombic

Lattice parameters (Å, degrees): 4.155 5.671 11.279 90.00 90.00 90.00
Fractional coordinates of all 26 atoms:
Tm  0.500  0.296  0.866
Tm  0.500  0.704  0.134
Tm  0.500  0.796  0.634
Tm  0.500  0.204  0.366
B  0.000  0.118  0.542
B  0.000  0.882  0.458
B  0.000  0.618  0.958
B  0.000  0.382  0.042
B  0.000  0.135  0.697
B  0.000  0.865  0.303
B  0.302  0.222  0.120
B  0.302  0.778  0.880
B  0.698  0.722  0.380
B  0.698  0.278  0.620
B  0.698  0.778  0.880
B  0.698  0.222  0.120
B  0.302  0.278  0.620
B  0.302  0.722  0.380
B  0.000  0.057  0.194
B  0.000  0.943  0.806
B  0.000  0.557  0.306
B  0.000  0.443  0.694
B  0.000  0.365  0.197
B  0.000  0.635  0.803
Ir  0.000  0.500  0.500
Ir  0.000  0.000  0.000



Record 2
Computed, not measured: a relaxed structure of TmB4Ir12 at the PBE level of DFT.

Calculated values
* raw total energy: -8.0106 eV per atom
* SG: Im-3
* crystal system: cubic

Lattice parameters (Å, degrees): 6.766 6.766 6.766 109.47 109.47 109.47
Fractional coordinates of all 17 atoms:
Tm  0.000  0.000  0.000
B  0.000  0.500  0.000
B  0.500  0.000  0.000
B  0.500  0.500  0.500
B  0.000  0.000  0.500
Ir  0.830  0.321  0.151
Ir  0.321  0.490  0.170
Ir  0.849  0.170  0.679
Ir  0.321  0.151  0.830
Ir  0.151  0.830  0.321
Ir  0.679  0.510  0.830
Ir  0.490  0.170  0.321
Ir  0.510  0.830  0.679
Ir  0.679  0.849  0.170
Ir  0.830  0.679  0.510
Ir  0.170  0.321  0.490
Ir  0.170  0.679  0.849



Record 3
Computed, not measured: a relaxed structure of Tm4B6Ir7 at the PBE level of DFT.

Calculated values
* raw total energy: -7.5208 eV per atom
* SG: Im-3m
* crystal system: cubic

Lattice parameters (Å, degrees): 6.824 6.824 6.824 109.47 109.47 109.47
Fractional coordinates of all 17 atoms:
Tm  0.500  0.000  0.000
Tm  0.500  0.500  0.500
Tm  0.000  0.500  0.000
Tm  0.000  0.000  0.500
B  0.647  0.000  0.647
B  0.647  0.647  0.000
B  0.000  0.353  0.353
B  0.353  0.000  0.353
B  0.353  0.353  0.000
B  0.000  0.647  0.647
Ir  0.750  0.500  0.250
Ir  0.250  0.750  0.500
Ir  0.500  0.750  0.250
Ir  0.750  0.250  0.500
Ir  0.250  0.500  0.750
Ir  0.500  0.250  0.750
Ir  0.000  0.000  0.000



Record 4
Computed, not measured: a relaxed structure of TmB4Ir6 at the PBE level of DFT.

Calculated values
* raw total energy: -7.9207 eV per atom
* SG: I-42m
* crystal system: tetragonal

Lattice parameters (Å, degrees): 6.129 6.129 6.129 78.20 127.03 127.03
Fractional coordinates of all 11 atoms:
Tm  0.000  0.000  0.000
B  0.000  0.206  0.582
B  0.624  0.418  0.418
B  0.000  0.582  0.206
B  0.376  0.794  0.794
Ir  0.000  0.878  0.528
Ir  0.000  0.528  0.878
Ir  0.650  0.122  0.122
Ir  0.500  0.000  0.500
Ir  0.350  0.472  0.472
Ir  0.500  0.500  0.000



E_form, respectively: -0.50, 0.08, -0.46, -0.25 eV per atom.

~~~~~

Record 1
VASP calculation (PBE) on a geometry-optimized NdSm6Er2Th structure.

```
NdSm6Er2Th
1.0
4.691 -7.485 0.000
4.691 7.485 0.000
-1.183 0.000 9.570
Nd Sm Er Th
2 12 4 2
Direct
0.094 0.906 0.750
0.906 0.094 0.250
0.016 0.797 0.382
0.075 0.517 0.184
0.203 0.984 0.118
0.262 0.609 0.559
0.391 0.738 0.941
0.483 0.925 0.316
0.517 0.075 0.684
0.609 0.262 0.059
0.738 0.391 0.441
0.797 0.016 0.882
0.925 0.483 0.816
0.984 0.203 0.618
0.209 0.302 0.948
0.302 0.209 0.448
0.698 0.791 0.552
0.791 0.698 0.052
0.467 0.533 0.250
0.533 0.467 0.750
```

Symmetry ... No. 15
VASP energy ... -0.177 Ha/atom

Record 2
VASP calculation (PBE) on a geometry-optimized Nd3Sm6Er2Tl structure.

```
Nd3Sm6Er2Tl
1.0
3.117 -5.416 0.000
3.117 5.416 0.000
-2.124 0.000 11.602
Nd Sm Er Tl
3 6 2 1
Direct
0.000 0.000 0.000
0.332 0.668 0.000
0.668 0.332 0.000
0.093 0.420 0.258
0.253 0.253 0.745
0.420 0.093 0.258
0.580 0.907 0.742
0.747 0.747 0.255
0.907 0.580 0.742
0.166 0.834 0.500
0.834 0.166 0.500
0.500 0.500 0.500
```

Symmetry ... No. 12

[Wanted]
Next, type out the lines above from the one with "4.691 7.485" to the one with "0.059" word for word.

[Completed]
4.691 7.485 0.000
-1.183 0.000 9.570
Nd Sm Er Th
2 12 4 2
Direct
0.094 0.906 0.750
0.906 0.094 0.250
0.016 0.797 0.382
0.075 0.517 0.184
0.203 0.984 0.118
0.262 0.609 0.559
0.391 0.738 0.941
0.483 0.925 0.316
0.517 0.075 0.684
0.609 0.262 0.059